• What to do:
Type out the whole of the entries underneath character by character, please.

• Input:
'''
This entry pairs a crystal structure of YHo2Al3 with its calculated powder diffraction line list. Radiation: Cu Kα X-rays. Structure: a DFT-relaxed cell (PBE, Alexandria).
Intensities are scaled so that the largest is 1000.

Cell: 3.5793 3.5793 10.8296 Å, 90.00 90.00 90.00°
Space group P4/mmm (No. 123)
Unique sites:
1 Y 0.0000 0.0000 0.0000 (multiplicity 1)
2 Ho 0.0000 0.0000 0.3344 (multiplicity 2)
3 Al 0.5000 0.5000 0.1689 (multiplicity 2)
4 Al 0.5000 0.5000 0.5000 (multiplicity 1)

Top 12 peaks for 10 to 90 degrees two-theta, by angle:
- d 3.610, I = 284, (0 0 3)
- d 3.579, I = 555, (1 0 0)
- d 2.542, I = 1000, (1 0 3)
- d 2.531, I = 494, (1 1 0)
- d 2.072, I = 252, (1 1 3)
- d 1.790, I = 174, (2 0 0)
- d 1.612, I = 114, (1 0 6)
- d 1.603, I = 112, (2 0 3)
- d 1.601, I = 112, (2 1 0)
- d 1.470, I = 181, (1 1 6)
- d 1.463, I = 358, (2 1 3)
- d 1.132, I = 158, (3 1 0)

This entry pairs a crystal structure of Y3HoAl8 with its calculated powder diffraction line list. Radiation: Cu Kα X-rays. Structure: a DFT-relaxed cell (PBE, Alexandria).
Intensities are scaled so that the largest is 1000.

Cell: 5.5552 5.5552 27.3457 Å, 90.00 90.00 120.00°
Space group R3m (No. 160, hexagonal axes)
Unique sites:
1 Y 0.0000 0.0000 0.0000 (multiplicity 3)
2 Y 0.0000 0.0000 0.1247 (multiplicity 3)
3 Y 0.0000 0.0000 0.5003 (multiplicity 3)
4 Ho 0.0000 0.0000 0.6246 (multiplicity 3)
5 Al 0.0000 0.0000 0.3124 (multiplicity 3)
6 Al 0.0000 0.0000 0.8124 (multiplicity 3)
7 Al 0.9998 0.4999 0.0623 (multiplicity 9)
8 Al 0.0000 0.5000 0.5626 (multiplicity 9)

Top 12 peaks for 10 to 90 degrees two-theta, by angle:
- d 4.543, I = 563, (0 1 2)
- d 2.786, I = 568, (0 1 8)
- d 2.778, I = 563, (1 1 0)
- d 2.374, I = 1000, (1 0 10)
- d 2.369, I = 333, (2 0 2)
- d 1.610, I = 107, (1 0 16)
- d 1.605, I = 317, (3 0 0)
- d 1.515, I = 242, (2 1 10)
- d 1.513, I = 158, (3 0 6)
- d 1.393, I = 146, (0 2 16)
- d 1.389, I = 144, (2 2 0)
- d 1.199, I = 112, (1 3 10)

This entry pairs a crystal structure of Y4Ho2Al with its calculated powder diffraction line list. Radiation: Cu Kα X-rays. Structure: a DFT-relaxed cell (PBE, Alexandria).
Intensities are scaled so that the largest is 1000.

Cell: 3.6346 5.5964 20.9892 Å, 90.00 90.00 90.00°
Space group Immm (No. 71)
Unique sites:
1 Y 0.0000 0.0000 0.0810 (multiplicity 4)
2 Y 0.0000 0.0000 0.3754 (multiplicity 4)
3 Ho 0.0000 0.5000 0.2749 (multiplicity 4)
4 Al 0.0000 0.5000 0.0000 (multiplicity 2)

Top 12 peaks for 10 to 90 degrees two-theta, by angle:
- d 3.498, I = 131, (0 0 6)
- d 3.225, I = 169, (1 0 3)
- d 2.927, I = 387, (1 1 2)
- d 2.798, I = 307, (0 2 0)
- d 2.638, I = 1000, (0 1 7)
- d 2.114, I = 102, (1 2 3)
- d 1.962, I = 129, (1 0 9)
- d 1.689, I = 99, (1 0 11)
- d 1.583, I = 208, (0 3 7)
- d 1.524, I = 95, (2 2 0)
- d 1.498, I = 139, (2 1 7)
- d 1.446, I = 118, (1 2 11)
'''

• Solution:
This entry pairs a crystal structure of YHo2Al3 with its calculated powder diffraction line list. Radiation: Cu Kα X-rays. Structure: a DFT-relaxed cell (PBE, Alexandria).
Intensities are scaled so that the largest is 1000.

Cell: 3.5793 3.5793 10.8296 Å, 90.00 90.00 90.00°
Space group P4/mmm (No. 123)
Unique sites:
1 Y 0.0000 0.0000 0.0000 (multiplicity 1)
2 Ho 0.0000 0.0000 0.3344 (multiplicity 2)
3 Al 0.5000 0.5000 0.1689 (multiplicity 2)
4 Al 0.5000 0.5000 0.5000 (multiplicity 1)

Top 12 peaks for 10 to 90 degrees two-theta, by angle:
- d 3.610, I = 284, (0 0 3)
- d 3.579, I = 555, (1 0 0)
- d 2.542, I = 1000, (1 0 3)
- d 2.531, I = 494, (1 1 0)
- d 2.072, I = 252, (1 1 3)
- d 1.790, I = 174, (2 0 0)
- d 1.612, I = 114, (1 0 6)
- d 1.603, I = 112, (2 0 3)
- d 1.601, I = 112, (2 1 0)
- d 1.470, I = 181, (1 1 6)
- d 1.463, I = 358, (2 1 3)
- d 1.132, I = 158, (3 1 0)

This entry pairs a crystal structure of Y3HoAl8 with its calculated powder diffraction line list. Radiation: Cu Kα X-rays. Structure: a DFT-relaxed cell (PBE, Alexandria).
Intensities are scaled so that the largest is 1000.

Cell: 5.5552 5.5552 27.3457 Å, 90.00 90.00 120.00°
Space group R3m (No. 160, hexagonal axes)
Unique sites:
1 Y 0.0000 0.0000 0.0000 (multiplicity 3)
2 Y 0.0000 0.0000 0.1247 (multiplicity 3)
3 Y 0.0000 0.0000 0.5003 (multiplicity 3)
4 Ho 0.0000 0.0000 0.6246 (multiplicity 3)
5 Al 0.0000 0.0000 0.3124 (multiplicity 3)
6 Al 0.0000 0.0000 0.8124 (multiplicity 3)
7 Al 0.9998 0.4999 0.0623 (multiplicity 9)
8 Al 0.0000 0.5000 0.5626 (multiplicity 9)

Top 12 peaks for 10 to 90 degrees two-theta, by angle:
- d 4.543, I = 563, (0 1 2)
- d 2.786, I = 568, (0 1 8)
- d 2.778, I = 563, (1 1 0)
- d 2.374, I = 1000, (1 0 10)
- d 2.369, I = 333, (2 0 2)
- d 1.610, I = 107, (1 0 16)
- d 1.605, I = 317, (3 0 0)
- d 1.515, I = 242, (2 1 10)
- d 1.513, I = 158, (3 0 6)
- d 1.393, I = 146, (0 2 16)
- d 1.389, I = 144, (2 2 0)
- d 1.199, I = 112, (1 3 10)

This entry pairs a crystal structure of Y4Ho2Al with its calculated powder diffraction line list. Radiation: Cu Kα X-rays. Structure: a DFT-relaxed cell (PBE, Alexandria).
Intensities are scaled so that the largest is 1000.

Cell: 3.6346 5.5964 20.9892 Å, 90.00 90.00 90.00°
Space group Immm (No. 71)
Unique sites:
1 Y 0.0000 0.0000 0.0810 (multiplicity 4)
2 Y 0.0000 0.0000 0.3754 (multiplicity 4)
3 Ho 0.0000 0.5000 0.2749 (multiplicity 4)
4 Al 0.0000 0.5000 0.0000 (multiplicity 2)

Top 12 peaks for 10 to 90 degrees two-theta, by angle:
- d 3.498, I = 131, (0 0 6)
- d 3.225, I = 169, (1 0 3)
- d 2.927, I = 387, (1 1 2)
- d 2.798, I = 307, (0 2 0)
- d 2.638, I = 1000, (0 1 7)
- d 2.114, I = 102, (1 2 3)
- d 1.962, I = 129, (1 0 9)
- d 1.689, I = 99, (1 0 11)
- d 1.583, I = 208, (0 3 7)
- d 1.524, I = 95, (2 2 0)
- d 1.498, I = 139, (2 1 7)
- d 1.446, I = 118, (1 2 11)